Assignment.
What is needed: echo the whole of the notes further below verbatim.

Material.
# 1
Density functional theory data (wB97M-V/def2-TZVPD) for one molecule with the formula C9H9N3O in a non-equilibrium geometry.

Output
LUMO level = -0.331 eV
energy relative to the best compared isomer or geometry (same formula, charge and spin) = 65.3 kcal/mol
2S+1 = 1
F_max = 4.69 eV Å⁻¹
SMILES = CC(=O)/C(C#N)=C1\C=CC=CN1N
net charge = 0
HOMO-LUMO gap = 0.2872 Eh

Each atom is followed by the atoms it is bonded to, with distances in Å.
Atoms and positions in Å:
1 C -3.54 -0.45 -0.50  C2 1.554, H14 1.057, H15 1.000, H16 1.086
2 C -2.08 -0.88 -0.16  C1 1.554, O3 1.230, C4 1.439
3 O -1.79 -2.07 -0.12  C2 1.230
4 C -1.12 0.16 0.12  C2 1.439, C5 1.436, C7 1.464
5 C -1.48 1.55 0.16  C4 1.436, N6 1.153
6 N -1.58 2.69 0.22  C5 1.153
7 C 0.32 -0.08 0.19  C4 1.464, C8 1.435, N12 1.424
8 C 0.77 -1.44 0.25  C7 1.435, C9 1.327, H17 1.107
9 C 2.03 -1.87 0.32  C8 1.327, C10 1.429, H18 1.045
10 C 3.01 -0.84 0.20  C9 1.429, C11 1.338, H19 1.040
11 C 2.67 0.45 0.07  C10 1.338, N12 1.385, H20 1.098
12 N 1.37 0.89 0.17  C7 1.424, C11 1.385, N13 1.434
13 N 1.37 2.30 -0.10  N12 1.434, H21 0.967, H22 1.089
14 H -3.36 0.59 -0.59  C1 1.057
15 H -4.21 -0.69 0.20  C1 1.000
16 H -3.87 -0.90 -1.43  C1 1.086
17 H -0.14 -2.07 0.19  C8 1.107
18 H 2.36 -2.86 0.34  C9 1.045
19 H 4.03 -1.03 0.08  C10 1.040
20 H 3.34 1.30 -0.11  C11 1.098
21 H 1.54 2.65 0.79  N13 0.967
22 H 0.35 2.61 -0.29  N13 1.089

natural (NBO) atomic charge list, values in e, 8 entries:
1. C -0.672
2. C 0.570
3. O -0.612
4. C -0.452
5. C 0.303
6. N -0.415
7. C 0.298
8. C -0.265

---

# 2
Density functional theory data (wB97M-V/def2-TZVPD) for a 2-piece molecular cluster, C9H9N3O2 overall in a non-equilibrium geometry.

Output
LUMO level = 0.018 eV
energy relative to the best compared isomer or geometry (same formula, charge and spin) = 95.0 kcal/mol
2S+1 = 1
F_max = 5.48 eV Å⁻¹
SMILES = O=c1cc[nH]c(=O)[nH]1.c1ccncc1
net charge = 0
HOMO-LUMO gap = 0.3002 Eh

Each atom is followed by the atoms it is bonded to, with distances in Å.
Atoms and positions in Å:
1 O 2.46 -1.54 1.93  C2 1.243
2 C 1.31 -1.09 1.80  O1 1.243, C3 1.429, N8 1.414
3 C 0.41 -1.50 0.77  C2 1.429, C4 1.354, H9 1.121
4 C -0.86 -1.03 0.67  C3 1.354, N5 1.383, H10 1.069
5 N -1.30 -0.01 1.50  C4 1.383, C6 1.409, H11 1.033
6 C -0.49 0.45 2.56  N5 1.409, O7 1.239, N8 1.388
7 O -0.95 1.24 3.40  C6 1.239
8 N 0.78 -0.10 2.65  C2 1.414, C6 1.388, H12 1.057
9 H 0.70 -2.38 0.13  C3 1.121
10 H -1.57 -1.35 -0.06  C4 1.069
11 H -2.23 0.43 1.50  N5 1.033
12 H 1.35 0.22 3.48  N8 1.057
13 C 0.13 1.64 -2.24  C14 1.420, C18 1.349, H19 1.153
14 C -1.15 1.06 -2.01  C13 1.420, C15 1.409, H20 1.040
15 C -1.12 -0.28 -1.58  C14 1.409, N16 1.320, H21 1.183
16 N -0.02 -0.95 -1.33  C15 1.320, C17 1.388
17 C 1.16 -0.24 -1.51  N16 1.388, C18 1.331, H22 1.053
18 C 1.29 0.98 -2.03  C13 1.349, C17 1.331, H23 1.039
19 H 0.18 2.79 -2.27  C13 1.153
20 H -2.04 1.58 -2.15  C14 1.040
21 H -2.21 -0.75 -1.53  C15 1.183
22 H 2.08 -0.72 -1.29  C17 1.053
23 H 2.08 1.53 -2.41  C18 1.039

natural (NBO) atomic charge list, values in e, 8 entries:
1. O -0.611
2. C 0.621
3. C -0.406
4. C 0.129
5. N -0.616
6. C 0.780
7. O -0.631
8. N -0.641

---

# 3
Density functional theory data (wB97M-V/def2-TZVPD) for one molecule with the formula C9H9N3S in a non-equilibrium geometry.

Output
LUMO level = 0.542 eV
energy relative to the best compared isomer or geometry (same formula, charge and spin) = 77.5 kcal/mol
2S+1 = 1
F_max = 6.65 eV Å⁻¹
SMILES = SN(c1ccccc1)c1ccn[nH]1
net charge = 0
HOMO-LUMO gap = 0.3232 Eh

Each atom is followed by the atoms it is bonded to, with distances in Å.
Atoms and positions in Å:
1 S -1.64 -1.51 1.60  N2 1.738, H14 1.448
2 N -0.51 -0.33 0.99  S1 1.738, C3 1.418, C9 1.654
3 C -0.76 0.51 -0.13  N2 1.418, C4 1.381, C8 1.480
4 C 0.29 0.92 -0.92  C3 1.381, C5 1.402, H15 1.094
5 C 0.03 1.71 -2.05  C4 1.402, C6 1.383, H16 1.082
6 C -1.24 2.10 -2.41  C5 1.383, C7 1.418, H17 1.119
7 C -2.32 1.63 -1.62  C6 1.418, C8 1.337, H18 1.127

Result.
# 1
Density functional theory data (wB97M-V/def2-TZVPD) for one molecule with the formula C9H9N3O in a non-equilibrium geometry.

Output
LUMO level = -0.331 eV
energy relative to the best compared isomer or geometry (same formula, charge and spin) = 65.3 kcal/mol
2S+1 = 1
F_max = 4.69 eV Å⁻¹
SMILES = CC(=O)/C(C#N)=C1\C=CC=CN1N
net charge = 0
HOMO-LUMO gap = 0.2872 Eh

Each atom is followed by the atoms it is bonded to, with distances in Å.
Atoms and positions in Å:
1 C -3.54 -0.45 -0.50  C2 1.554, H14 1.057, H15 1.000, H16 1.086
2 C -2.08 -0.88 -0.16  C1 1.554, O3 1.230, C4 1.439
3 O -1.79 -2.07 -0.12  C2 1.230
4 C -1.12 0.16 0.12  C2 1.439, C5 1.436, C7 1.464
5 C -1.48 1.55 0.16  C4 1.436, N6 1.153
6 N -1.58 2.69 0.22  C5 1.153
7 C 0.32 -0.08 0.19  C4 1.464, C8 1.435, N12 1.424
8 C 0.77 -1.44 0.25  C7 1.435, C9 1.327, H17 1.107
9 C 2.03 -1.87 0.32  C8 1.327, C10 1.429, H18 1.045
10 C 3.01 -0.84 0.20  C9 1.429, C11 1.338, H19 1.040
11 C 2.67 0.45 0.07  C10 1.338, N12 1.385, H20 1.098
12 N 1.37 0.89 0.17  C7 1.424, C11 1.385, N13 1.434
13 N 1.37 2.30 -0.10  N12 1.434, H21 0.967, H22 1.089
14 H -3.36 0.59 -0.59  C1 1.057
15 H -4.21 -0.69 0.20  C1 1.000
16 H -3.87 -0.90 -1.43  C1 1.086
17 H -0.14 -2.07 0.19  C8 1.107
18 H 2.36 -2.86 0.34  C9 1.045
19 H 4.03 -1.03 0.08  C10 1.040
20 H 3.34 1.30 -0.11  C11 1.098
21 H 1.54 2.65 0.79  N13 0.967
22 H 0.35 2.61 -0.29  N13 1.089

natural (NBO) atomic charge list, values in e, 8 entries:
1. C -0.672
2. C 0.570
3. O -0.612
4. C -0.452
5. C 0.303
6. N -0.415
7. C 0.298
8. C -0.265

---

# 2
Density functional theory data (wB97M-V/def2-TZVPD) for a 2-piece molecular cluster, C9H9N3O2 overall in a non-equilibrium geometry.

Output
LUMO level = 0.018 eV
energy relative to the best compared isomer or geometry (same formula, charge and spin) = 95.0 kcal/mol
2S+1 = 1
F_max = 5.48 eV Å⁻¹
SMILES = O=c1cc[nH]c(=O)[nH]1.c1ccncc1
net charge = 0
HOMO-LUMO gap = 0.3002 Eh

Each atom is followed by the atoms it is bonded to, with distances in Å.
Atoms and positions in Å:
1 O 2.46 -1.54 1.93  C2 1.243
2 C 1.31 -1.09 1.80  O1 1.243, C3 1.429, N8 1.414
3 C 0.41 -1.50 0.77  C2 1.429, C4 1.354, H9 1.121
4 C -0.86 -1.03 0.67  C3 1.354, N5 1.383, H10 1.069
5 N -1.30 -0.01 1.50  C4 1.383, C6 1.409, H11 1.033
6 C -0.49 0.45 2.56  N5 1.409, O7 1.239, N8 1.388
7 O -0.95 1.24 3.40  C6 1.239
8 N 0.78 -0.10 2.65  C2 1.414, C6 1.388, H12 1.057
9 H 0.70 -2.38 0.13  C3 1.121
10 H -1.57 -1.35 -0.06  C4 1.069
11 H -2.23 0.43 1.50  N5 1.033
12 H 1.35 0.22 3.48  N8 1.057
13 C 0.13 1.64 -2.24  C14 1.420, C18 1.349, H19 1.153
14 C -1.15 1.06 -2.01  C13 1.420, C15 1.409, H20 1.040
15 C -1.12 -0.28 -1.58  C14 1.409, N16 1.320, H21 1.183
16 N -0.02 -0.95 -1.33  C15 1.320, C17 1.388
17 C 1.16 -0.24 -1.51  N16 1.388, C18 1.331, H22 1.053
18 C 1.29 0.98 -2.03  C13 1.349, C17 1.331, H23 1.039
19 H 0.18 2.79 -2.27  C13 1.153
20 H -2.04 1.58 -2.15  C14 1.040
21 H -2.21 -0.75 -1.53  C15 1.183
22 H 2.08 -0.72 -1.29  C17 1.053
23 H 2.08 1.53 -2.41  C18 1.039

natural (NBO) atomic charge list, values in e, 8 entries:
1. O -0.611
2. C 0.621
3. C -0.406
4. C 0.129
5. N -0.616
6. C 0.780
7. O -0.631
8. N -0.641

---

# 3
Density functional theory data (wB97M-V/def2-TZVPD) for one molecule with the formula C9H9N3S in a non-equilibrium geometry.

Output
LUMO level = 0.542 eV
energy relative to the best compared isomer or geometry (same formula, charge and spin) = 77.5 kcal/mol
2S+1 = 1
F_max = 6.65 eV Å⁻¹
SMILES = SN(c1ccccc1)c1ccn[nH]1
net charge = 0
HOMO-LUMO gap = 0.3232 Eh

Each atom is followed by the atoms it is bonded to, with distances in Å.
Atoms and positions in Å:
1 S -1.64 -1.51 1.60  N2 1.738, H14 1.448
2 N -0.51 -0.33 0.99  S1 1.738, C3 1.418, C9 1.654
3 C -0.76 0.51 -0.13  N2 1.418, C4 1.381, C8 1.480
4 C 0.29 0.92 -0.92  C3 1.381, C5 1.402, H15 1.094
5 C 0.03 1.71 -2.05  C4 1.402, C6 1.383, H16 1.082
6 C -1.24 2.10 -2.41  C5 1.383, C7 1.418, H17 1.119
7 C -2.32 1.63 -1.62  C6 1.418, C8 1.337, H18 1.127